(Contents)
........
# 1
7
Properties=species:S:1:pos:R:3:lowdin_charge:R:1 method="wB97M-V/def2-TZVPD" smiles=CBCl e_homo_ev=-10.5 orbital_gap_ha=0.3892 lumo_ha=0.0037
C -0.838 -0.271 -0.148 -0.08
B 0.855 0.417 0.037 -0.38
Cl 2.688 -0.019 -0.097 0.44
H -1.398 0.036 0.669 0.00
H -0.765 -1.342 0.012 0.02
H -1.296 -0.279 -1.100 0.01
H 0.754 1.459 0.627 -0.01

=====

# 2
9
Properties=species:S:1:pos:R:3:lowdin_charge:R:1 method="wB97M-V/def2-TZVPD" e_homo_ev="-9.7 / -10.0" orbital_gap_ha="0.3076 / 0.3419" lumo_ha="-0.0499 / -0.0251"
B 0.785 -0.272 -1.577 -0.11
C -0.749 0.303 1.501 0.14
N 0.109 -0.216 0.736 -0.37
O 0.889 -1.120 1.008 0.01
O 0.203 0.376 -0.569 0.02
H 1.220 -1.357 -1.473 0.05
H 0.803 0.344 -2.567 0.04
H -1.048 0.057 2.492 0.07
H -2.212 1.885 0.450 0.16

=====

# 3
9
Properties=species:S:1:pos:R:3:lowdin_charge:R:1 method="wB97M-V/def2-TZVPD" e_homo_ev=-10.2 orbital_gap_ha=0.3679 lumo_ha=-0.0056
C 1.514 0.015 -0.461 -1.17
O 0.022 0.852 0.380 -0.56
Si -1.452 0.098 0.456 0.44
Br 2.883 1.102 0.045 0.77
Br 1.593 -1.778 0.081 0.68
H 1.047 -0.007 -1.492 0.05
H -1.388 -1.329 0.969 -0.08
H -1.826 -0.114 -0.992 -0.08
H -2.392 1.160 1.013 -0.05

=====

# 4
10
Properties=species:S:1:pos:R:3:mulliken_spin:R:1 method="wB97M-V/def2-TZVPD" spin_multiplicity=2 e_homo_ev="-14.8 / -14.6" orbital_gap_ha="0.3502 / 0.2133" lumo_ha="-0.1921 / -0.3242" total_charge=+1
Cu 0.667 0.188 -2.900 0.01
Br -0.437 1.017 -1.607 0.07
C -0.002 -0.401 1.034 -0.07
O 0.177 -1.203 1.923 0.69
N -1.111 -0.070 0.521 0.08
N 0.989 0.227 0.446 0.25
H -1.113 0.295 -0.421 0.00
H -1.959 -0.531 0.819 0.00
H 0.897 0.647 -0.468 -0.01
H 1.894 -0.170 0.653 -0.01

=====

# 5
10
Properties=species:S:1:pos:R:3:mulliken_spin:R:1 method="wB97M-V/def2-TZVPD" spin_multiplicity=4 e_homo_ev="-11.9 / -11.9" orbital_gap_ha="0.1456 / 0.1572" lumo_ha="-0.2934 / -0.2819" total_charge=+1
V -2.776 1.747 3.595 3.09
Br -1.734 -0.293 2.464 -0.10
C 1.021 -0.073 -1.047 0.00
O 1.992 0.155 -1.742 0.00
N 0.906 0.262 0.253 0.00
N -0.088 -0.744 -1.566 0.00
H 1.629 0.715 0.793 0.00
H 0.059 0.110 0.782 0.00
H -0.143 -0.890 -2.564 0.00
H -0.865 -0.989 -0.968 0.00

=====

# 6
10
Properties=species:S:1:pos:R:3:lowdin_charge:R:1 method="wB97M-V/def2-TZVPD" e_homo_ev=-8.7 orbital_gap_ha=0.3285 lumo_ha=0.0079
C -0.837 -1.154 -1.305 -0.78
N 0.217 0.338 0.544 0.06
O 1.322 0.283 -1.731 -0.30
O 1.615 -1.649 -0.199 -0.34
S 0.791 -0.816 -1.017 0.56
Br -1.144 -2.881 -0.628 0.64
H 0.898 -0.272 1.005 0.08
H -0.969 -1.091 -2.279 -0.06
H 0.471 1.261 0.660 0.07
H -0.744 0.078 0.491 0.06

=====

# 7
8
Properties=species:S:1:pos:R:3:lowdin_charge:R:1 method="wB97M-V/def2-TZVPD" e_homo_ev="-8.3 / -8.3" orbital_gap_ha="0.2771 / 0.2951" lumo_ha="-0.0264 / -0.0105"
C 0.220 -0.872 -0.966 -0.78
O 1.034 -1.803 -0.443 -0.12
P 0.455 1.205 0.913 0.62
Br 0.756 -0.096 -2.625 0.62
H -0.819 -1.158 -0.944 0.04
H 1.957 -1.513 -0.440 0.10
H -0.327 2.017 0.091 -0.23
H -0.685 0.704 1.540 -0.24

=====

# 8
8
Properties=species:S:1:pos:R:3:lowdin_charge:R:1 method="wB97M-V/def2-TZVPD" e_homo_ev=-8.8 orbital_gap_ha=0.3284 lumo_ha=0.0053
H 0.713 -2.046 -1.975 -0.20
P 1.325 -0.870 -1.844 0.77
C 0.919 -0.455 -0.243 -0.65
O 0.133 -1.193 0.631 -0.13
H 1.410 0.546 0.155 0.08
H 0.333 -0.836 1.542 0.11
Br -1.816 2.112 1.224 0.22
H -3.016 2.743 0.509 -0.19

=====

# 9
9
Properties=species:S:1:pos:R:3:lowdin_charge:R:1 method="wB97M-V/def2-TZVPD" smiles=ClNCNCl e_homo_ev=-9.3 orbital_gap_ha=0.3610 lumo_ha=0.0190
Cl 1.886 -1.607 -0.056 0.50
N 1.395 0.063 -0.239 -0.51
C -0.098 0.461 -0.385 -0.35
N -0.867 -0.324 0.633 -0.47
Cl -2.064 -1.350 -0.200 0.48
H 1.810 0.602 0.547 0.05
H -0.384 0.245 -1.439 0.09
H -0.217 1.511 -0.027 0.12
H -1.461 0.399 1.166 0.08

=====

# 10
12
Properties=species:S:1:pos:R:3:lowdin_charge:R:1 method="wB97M-V/def2-TZVPD" e_homo_ev=-9.3 orbital_gap_ha=0.3140 lumo_ha=-0.0288
C -1.841 -0.049 -0.323 -1.08
N 1.205 -0.767 -0.507 -0.18
N -0.364 0.590 1.059 -0.21
O 2.161 0.816 1.147 -0.39
S 0.808 1.995 -1.177 0.30
S 1.108 0.697 0.175 0.13
........
(To do)
What is needed: give back the lines earlier on unchanged.
(Reply)
# 1
7
Properties=species:S:1:pos:R:3:lowdin_charge:R:1 method="wB97M-V/def2-TZVPD" smiles=CBCl e_homo_ev=-10.5 orbital_gap_ha=0.3892 lumo_ha=0.0037
C -0.838 -0.271 -0.148 -0.08
B 0.855 0.417 0.037 -0.38
Cl 2.688 -0.019 -0.097 0.44
H -1.398 0.036 0.669 0.00
H -0.765 -1.342 0.012 0.02
H -1.296 -0.279 -1.100 0.01
H 0.754 1.459 0.627 -0.01

=====

# 2
9
Properties=species:S:1:pos:R:3:lowdin_charge:R:1 method="wB97M-V/def2-TZVPD" e_homo_ev="-9.7 / -10.0" orbital_gap_ha="0.3076 / 0.3419" lumo_ha="-0.0499 / -0.0251"
B 0.785 -0.272 -1.577 -0.11
C -0.749 0.303 1.501 0.14
N 0.109 -0.216 0.736 -0.37
O 0.889 -1.120 1.008 0.01
O 0.203 0.376 -0.569 0.02
H 1.220 -1.357 -1.473 0.05
H 0.803 0.344 -2.567 0.04
H -1.048 0.057 2.492 0.07
H -2.212 1.885 0.450 0.16

=====

# 3
9
Properties=species:S:1:pos:R:3:lowdin_charge:R:1 method="wB97M-V/def2-TZVPD" e_homo_ev=-10.2 orbital_gap_ha=0.3679 lumo_ha=-0.0056
C 1.514 0.015 -0.461 -1.17
O 0.022 0.852 0.380 -0.56
Si -1.452 0.098 0.456 0.44
Br 2.883 1.102 0.045 0.77
Br 1.593 -1.778 0.081 0.68
H 1.047 -0.007 -1.492 0.05
H -1.388 -1.329 0.969 -0.08
H -1.826 -0.114 -0.992 -0.08
H -2.392 1.160 1.013 -0.05

=====

# 4
10
Properties=species:S:1:pos:R:3:mulliken_spin:R:1 method="wB97M-V/def2-TZVPD" spin_multiplicity=2 e_homo_ev="-14.8 / -14.6" orbital_gap_ha="0.3502 / 0.2133" lumo_ha="-0.1921 / -0.3242" total_charge=+1
Cu 0.667 0.188 -2.900 0.01
Br -0.437 1.017 -1.607 0.07
C -0.002 -0.401 1.034 -0.07
O 0.177 -1.203 1.923 0.69
N -1.111 -0.070 0.521 0.08
N 0.989 0.227 0.446 0.25
H -1.113 0.295 -0.421 0.00
H -1.959 -0.531 0.819 0.00
H 0.897 0.647 -0.468 -0.01
H 1.894 -0.170 0.653 -0.01

=====

# 5
10
Properties=species:S:1:pos:R:3:mulliken_spin:R:1 method="wB97M-V/def2-TZVPD" spin_multiplicity=4 e_homo_ev="-11.9 / -11.9" orbital_gap_ha="0.1456 / 0.1572" lumo_ha="-0.2934 / -0.2819" total_charge=+1
V -2.776 1.747 3.595 3.09
Br -1.734 -0.293 2.464 -0.10
C 1.021 -0.073 -1.047 0.00
O 1.992 0.155 -1.742 0.00
N 0.906 0.262 0.253 0.00
N -0.088 -0.744 -1.566 0.00
H 1.629 0.715 0.793 0.00
H 0.059 0.110 0.782 0.00
H -0.143 -0.890 -2.564 0.00
H -0.865 -0.989 -0.968 0.00

=====

# 6
10
Properties=species:S:1:pos:R:3:lowdin_charge:R:1 method="wB97M-V/def2-TZVPD" e_homo_ev=-8.7 orbital_gap_ha=0.3285 lumo_ha=0.0079
C -0.837 -1.154 -1.305 -0.78
N 0.217 0.338 0.544 0.06
O 1.322 0.283 -1.731 -0.30
O 1.615 -1.649 -0.199 -0.34
S 0.791 -0.816 -1.017 0.56
Br -1.144 -2.881 -0.628 0.64
H 0.898 -0.272 1.005 0.08
H -0.969 -1.091 -2.279 -0.06
H 0.471 1.261 0.660 0.07
H -0.744 0.078 0.491 0.06

=====

# 7
8
Properties=species:S:1:pos:R:3:lowdin_charge:R:1 method="wB97M-V/def2-TZVPD" e_homo_ev="-8.3 / -8.3" orbital_gap_ha="0.2771 / 0.2951" lumo_ha="-0.0264 / -0.0105"
C 0.220 -0.872 -0.966 -0.78
O 1.034 -1.803 -0.443 -0.12
P 0.455 1.205 0.913 0.62
Br 0.756 -0.096 -2.625 0.62
H -0.819 -1.158 -0.944 0.04
H 1.957 -1.513 -0.440 0.10
H -0.327 2.017 0.091 -0.23
H -0.685 0.704 1.540 -0.24

=====

# 8
8
Properties=species:S:1:pos:R:3:lowdin_charge:R:1 method="wB97M-V/def2-TZVPD" e_homo_ev=-8.8 orbital_gap_ha=0.3284 lumo_ha=0.0053
H 0.713 -2.046 -1.975 -0.20
P 1.325 -0.870 -1.844 0.77
C 0.919 -0.455 -0.243 -0.65
O 0.133 -1.193 0.631 -0.13
H 1.410 0.546 0.155 0.08
H 0.333 -0.836 1.542 0.11
Br -1.816 2.112 1.224 0.22
H -3.016 2.743 0.509 -0.19

=====

# 9
9
Properties=species:S:1:pos:R:3:lowdin_charge:R:1 method="wB97M-V/def2-TZVPD" smiles=ClNCNCl e_homo_ev=-9.3 orbital_gap_ha=0.3610 lumo_ha=0.0190
Cl 1.886 -1.607 -0.056 0.50
N 1.395 0.063 -0.239 -0.51
C -0.098 0.461 -0.385 -0.35
N -0.867 -0.324 0.633 -0.47
Cl -2.064 -1.350 -0.200 0.48
H 1.810 0.602 0.547 0.05
H -0.384 0.245 -1.439 0.09
H -0.217 1.511 -0.027 0.12
H -1.461 0.399 1.166 0.08

=====

# 10
12
Properties=species:S:1:pos:R:3:lowdin_charge:R:1 method="wB97M-V/def2-TZVPD" e_homo_ev=-9.3 orbital_gap_ha=0.3140 lumo_ha=-0.0288
C -1.841 -0.049 -0.323 -1.08
N 1.205 -0.767 -0.507 -0.18
N -0.364 0.590 1.059 -0.21
O 2.161 0.816 1.147 -0.39
S 0.808 1.995 -1.177 0.30
S 1.108 0.697 0.175 0.13